LDF Files Amicus in Support of North Carolina Photo ID Law
Lawyers Democracy Fund has filed an amicus brief in Holmes v. Moore in support of Senate Bill 824, North Carolina’s photo identification law for in-person voting.
In 2018, North Carolina voters overwhelmingly approved a ballot measure to amend the state constitution to require photo ID for in-person voting. The North Carolina General Assembly then enacted Senate Bill 824 with bipartisan support to implement the constitutional requirement.
However, despite a significant majority of North Carolina voters supporting photo ID requirements and zero evidence that North Carolina’s law was passed with discriminatory intent, a panel of judges at the trial level struck down the law as unconstitutional.
In its amicus, LDF put forth three arguments as to why the North Carolina Court of Appeals should uphold North Carolina’s photo ID law:
- North Carolina, like every state, has a legitimate interest in enacting Photo ID legislation to protect the franchise and secure elections,
- The Photo ID law enacted by North Carolina is more flexible than other state Photo ID laws that have been routinely upheld in state and federal court, and
- Because the trial court struck down North Carolina’s Photo ID law, an unavoidable conflict now exists due to the still-existing constitutional requirement that voters present Photo ID to vote in person.
On the first issue, LDF highlighted how North Carolina’s photo ID law serves as a meaningful election integrity safeguard to protect the franchise without limiting voter access:
Photo ID requirements, especially with reasonable accommodations for hardships, are an easy means of verifying identity. They are also the strongest, prophylactic defense against illegal impersonation fraud, voting under fictitious registrations, double-voting by people registered in multiple states, and voting by non-citizens, as people who consider engaging in such crimes know that they would not be able to cast illegal ballots because they would be asked to verify their identity at the polls. Clearly, North Carolina had a legitimate interest in enacting SB824.
On the second issue, LDF compared North Carolina’s photo ID law to those in other states that have been upheld in state and federal courts to showcase just how lenient North Carolina’s photo ID law is and to explain why it should not have been struck down:
Since Crawford, numerous state-level Photo ID laws have been upheld despite having tighter regulations than SB824…The Photo ID laws in [Georgia, Tennessee, Indiana, Oklahoma, and Alabama] and their associated court challenges demonstrate that SB824 is consistent with, and generally more permissive than other states’ whose Photo ID legislation were ruled constitutional. In fact, the Majority’s decision below is wholly contrary to Crawford and its progeny.
Between two parts of the entry: crystal structures:
/*
(1)
# YbEu

A relaxed structure of YbEu (r²SCAN, the Materials Project database).

a = 6.4496 Å, b = 6.4496 Å, c = 6.4496 Å
α = 32.46°, β = 32.46°, γ = 32.46°
Fractional positions:
1 Yb 0.0000 0.0000 0.0000
2 Eu 0.5000 0.5000 0.5000

The space group is R-3m, No. 166. The value obtained for the total magnetic moment is 8.00 μB per cell. The formation energy from the elements is 0.1080 eV/atom. The calculation puts the calculated volume at 34.4 Å³ per atom. Its relative energy among the computed polymorphs is 0 meV/atom.

=====

(2)
# EuZn2

A relaxed structure of EuZn2 (r²SCAN, the Materials Project database).

a = 5.7878 Å, b = 5.7878 Å, c = 5.7878 Å
α = 132.75°, β = 99.13°, γ = 99.35°
Fractional positions:
1 Eu 0.3021 0.0521 0.2500
2 Eu 0.6979 0.9479 0.7500
3 Zn 0.0984 0.6636 0.4348
4 Zn 0.2712 0.3364 0.9348
5 Zn 0.7288 0.6636 0.0652
6 Zn 0.9016 0.3364 0.5652

The space group is Imma, No. 74. The value obtained for the total magnetic moment is 14.38 μB per cell. The formation energy from the elements is -0.3154 eV/atom. The calculation puts the calculated volume at 21.7 Å³ per atom.

=====

(3)
# EuZn5

A relaxed structure of EuZn5 (r²SCAN, the Materials Project database).

a = 5.3767 Å, b = 5.3767 Å, c = 4.2204 Å
α = 90.00°, β = 90.00°, γ = 120.00°
Fractional positions:
1 Eu 0.0000 0.0000 0.0000
2 Zn 0.0000 0.5000 0.5000
3 Zn 0.3333 0.6667 0.0000
4 Zn 0.5000 0.0000 0.5000
5 Zn 0.5000 0.5000 0.5000
6 Zn 0.6667 0.3333 0.0000

The space group is P6/mmm, No. 191. The value obtained for the total magnetic moment is 7.11 μB per cell. The formation energy from the elements is -0.2775 eV/atom. The calculation puts the calculated volume at 17.6 Å³ per atom.

=====

(4)
# EuZn

A relaxed structure of EuZn (r²SCAN, the Materials Project database).

a = 3.7412 Å, b = 3.7412 Å, c = 3.7412 Å
α = 90.00°, β = 90.00°, γ = 90.00°
Fractional positions:
1 Eu 0.0000 0.0000 0.0000
2 Zn 0.5000 0.5000 0.5000

The space group is Pm-3m, No. 221. The value obtained for the total magnetic moment is 7.20 μB per cell. The formation energy from the elements is -0.2604 eV/atom. The calculation puts the calculated volume at 26.2 Å³ per atom.


LiTiMnO4 after structural relaxation, computed with GGA+U.

Structure (POSCAR):
```
LiTiMnO4
1.0
6.3065 0.0000 0.0000
0.0000 6.3065 0.0000
0.0000 0.0000 7.2332
Li Ti Mn O
4 4 4 16
Direct
0.0000 0.2206 0.0000
0.0000 0.7794 0.5000
0.2206 0.0000 0.2500
0.7794 0.0000 0.7500
0.2164 0.5000 0.2500
0.5000 0.2164 0.0000
0.5000 0.7836 0.5000
0.7836 0.5000 0.7500
0.2583 0.2583 0.6250
0.2583 0.7417 0.8750
0.7417 0.2583 0.3750
0.7417 0.7417 0.1250
0.0334 0.2699 0.2879
0.0334 0.7301 0.2121
0.2656 0.4588 0.9839
0.2656 0.5412 0.5161
0.2699 0.0334 0.9621
0.2699 0.9666 0.5379
0.4588 0.2656 0.2661
0.4588 0.7344 0.2339
0.5412 0.2656 0.7339
0.5412 0.7344 0.7661
0.7301 0.0334 0.0379
0.7301 0.9666 0.4621
0.7344 0.4588 0.0161
0.7344 0.5412 0.4839
0.9666 0.2699 0.7121
0.9666 0.7301 0.7879
```

ρ ... 4.012 Mg/m³
*/
Here the entry continues:
On the third issue, LDF presented the conflict the lower court created by striking down North Carolina’s photo ID law, especially when the state constitution and well-settled rules of constitutional interpretation weigh in favor of its validity:
[T]he trial court’s order places the constitution at odds with itself, effectively depriving the legislature of any way to implement the Photo ID Clause on the basis of a separate constitutional mandate for equal protection.
Ultimately, LDF’s amicus contends that North Carolina’s photo ID law is far more permissive than several photo ID statutes across the country that have survived legal challenges in state and federal court and that the trial court violated foundational principles of constitutional interpretation to strike it down.
To read LDF’s amicus in its entirety, click here.
To read LDF’s in-depth analysis of Senate Bill 824, click here.